### Entries
'''
This entry pairs a crystal structure of Cs2VPdF6 with its simulated X-ray diffraction stick pattern. Radiation: Cu Kα X-rays. Structure: a DFT-relaxed cell (GGA+U, Alexandria).

Structural model:
Cell: 6.3052 6.3052 6.3052 Å, 116.85 116.85 95.55°
Fractional positions:
Cs: 0.2500 0.7500 0.5000
Cs: 0.7500 0.2500 0.5000
V: 0.0000 0.0000 0.0000
Pd: 0.5000 0.5000 0.0000
F: 0.2097 0.2097 0.4194
F: 0.2097 0.7903 0.0000
F: 0.2442 0.2442 0.0000
F: 0.7558 0.7558 0.0000
F: 0.7903 0.2097 0.0000
F: 0.7903 0.7903 0.5806

Top 10 peaks for 2θ = 10–80°, in order of rising 2θ:
2θ (°), d/Å, Rel. int.
27.01, 3.302, 59
28.45, 3.138, 100
34.44, 2.604, 19
38.56, 2.335, 40
42.68, 2.119, 16
48.61, 1.873, 41
51.23, 1.783, 20
58.86, 1.569, 21
77.00, 1.238, 12
79.05, 1.211, 13
'''
### Brief
Could you write out the whole of the block earlier on without altering anything?
### Worked solution
This entry pairs a crystal structure of Cs2VPdF6 with its simulated X-ray diffraction stick pattern. Radiation: Cu Kα X-rays. Structure: a DFT-relaxed cell (GGA+U, Alexandria).

Structural model:
Cell: 6.3052 6.3052 6.3052 Å, 116.85 116.85 95.55°
Fractional positions:
Cs: 0.2500 0.7500 0.5000
Cs: 0.7500 0.2500 0.5000
V: 0.0000 0.0000 0.0000
Pd: 0.5000 0.5000 0.0000
F: 0.2097 0.2097 0.4194
F: 0.2097 0.7903 0.0000
F: 0.2442 0.2442 0.0000
F: 0.7558 0.7558 0.0000
F: 0.7903 0.2097 0.0000
F: 0.7903 0.7903 0.5806

Top 10 peaks for 2θ = 10–80°, in order of rising 2θ:
2θ (°), d/Å, Rel. int.
27.01, 3.302, 59
28.45, 3.138, 100
34.44, 2.604, 19
38.56, 2.335, 40
42.68, 2.119, 16
48.61, 1.873, 41
51.23, 1.783, 20
58.86, 1.569, 21
77.00, 1.238, 12
79.05, 1.211, 13